18 JANUARY 1851, Page 13

Ix 'tlic aggregate d Wif i litiinfi' i l y lpif s e than

couuterbalancedli ,.., , : 1 titloiii. ' edia f tears

to deparing Wien `-', — " VW t!, 4 ,iiegTet is more7tiinsient thY is f ''is seldom we recalluthe dyin#'*titirdlinit a VI mil fit as he was when in full life. ''liaLite'Srcitiii 'l• 1-iresr6 Wildr fear . than for confidence. As old friends-pass-away, therefore, and new ones arrive, WI dieing& .i1 nitartalitY 'gkel its'tbeitalifbitinlitei past, and for .the. !Ore Hope, the childlaf ItenioryTilnynyl. ' &generation. On I whole, the con:Tens0km .#!,,,,grepte5 Ike loss :- net O ia ',the departed replaced by tbnafirrAftrii ,A0araiver adds to the inheritance of the 'depart4 emirs Kipepionew re- sources of haraan art. The Ihakeiefi such iqA 'igene ; an honest Wory of the oldest a- 64,?_„1-Wlial" tiled t . of his

party in the best faith. Iklilm,Wap on wia" p irist, Pitt the "Heaven-born. 3linisten.,k,Relbrin, au abOrein on, Rotten

Boron& theLsiMpl-eihistitiition.aiqf a.golden age e, e, the fourth IlakejiAaaa earn*, ail: cl.honest,. Ilit obsolete. emise replaces that 41.4e of the Pest by one ready know S.:s1 ,Efirl of Lin- caln„4pOnservative of the present timeftlia,t a shy, one of the party,Thase vocation Peel converter from being 6 obstructers of all Change into being the prndentiatreaulatershitinaprovement. The general absolver 'Death has linried. die haralmro011ections of fd the ehl Duke, and has at the. 4nie time repla "..that worn-out pillar of the stateby one perfireVy sound and e Cite: -The_ same *isolations await- us in the wort of art. The,Ra- phael Of the past never dies,Iiiit testifies to us the unborn Raphael of theluture. , Pasta, in her letters to Parodi, fineryii,beerves, that even the. singer who passes out of Sight and hearing:may exercise. such aninfluence on art that it,Shall be immortal, although it be not traced,to its author. While we watch theirjaSt efforts of the last survivor among English tragic actors and a 4-ail* farewell

. . ..

• Unrelated to this page: data records:
-- begin --
[1]
{
  "formula": "Na5Ta3AlSi5PO24",
  "functional": "PBE",
  "state": "optimized geometry",
  "lattice": [[8.941, -0.004, 0.008], [-4.474, 7.717, 0.005], [0.021, 0.025, 22.441]],
  "species": ["Na", "Na", "Na", "Na", "Na", "Na", "Na", "Na", "Na", "Na", "Na", "Na", "Na", "Na", "Na", "Ta", "Ta", "Ta", "Ta", "Ta", "Ta", "Ta", "Ta", "Ta", "Al", "Al", "Al", "Si", "Si", "Si", "Si", "Si", "Si", "Si", "Si", "Si", "Si", "Si", "Si", "Si", "Si", "Si", "P", "P", "P", "O", "O", "O", "O", "O", "O", "O", "O", "O", "O", "O", "O", "O", "O", "O", "O", "O", "O", "O", "O", "O", "O", "O", "O", "O", "O", "O", "O", "O", "O", "O", "O", "O", "O", "O", "O", "O", "O", "O", "O", "O", "O", "O", "O", "O", "O", "O", "O", "O", "O", "O", "O", "O", "O", "O", "O", "O", "O", "O", "O", "O", "O", "O", "O", "O", "O", "O", "O", "O", "O", "O", "O"],
-- stop --

to3„faeready, we read with delighted hope how spe electrified by tli,e„,uPpearance -, of. Caroline Duprez,—a .r, 4ion of the

great tenor-singerin the form of a beantifal, '''' , Wed by na-

ture-with a fine voice, and by her father wilffe ale eqteducation, The aristocracy of art cannot die ; its tenure iS'irn e Cal : born of the marriage between impassioned nature and _lute., eeita.1 eiviliitt-:.

tion, the race will grow stronger with the pRegres tine. Its. influence extends beyond that of an lise egislature;

Air it is limited to no country, and it rides,„ yi e executive

power of the state, which rebellion may gui ,pr,eyertiun, but .

by the force of men's own feelings and wi in ,,'ids the greater power is more stable ; and if in this regieb0.124_art also Dior-LIT